HISTORY OF THE CATHEDRAL SANTA MARIA DEL FIORE. The Cathedral dates from 1294 and is known by Florentines as the Duomo. It is the third largest church in Italy and an example of Italian Gothic architecture. The cathedral was built on the site of the crumbling mediaeval church of Santa Reparata. The title ‘fiore' (Italian for flowers) refers to the lily which features on the Florentine coat of arms.

A stylised red and white lily is the official emblem of Florence.
In the 13th century, a levy was raised on wealthy Florentine merchants and guilds to pay for the construction of the new cathedral so it would be a status symbol for the city and demonstrate to the rest of Italy the wealth and importance of Florence.
FIVE GREAT ARCHITECTS were involved with the construction of the cathedral. The huge edifice took over a century to complete and five architects worked on various aspects of the design and supervised the construction. The original architect, Arnolfo di Cambio, created the conceptional designed and supervised the laying of the foundations. After his death, Giotto, the Master of Works, supervised the early stages of the cathedral's construction. When he died as well Andrea Pisano took over from Giotto. Eventually Pisano was replaced by Francesco Talenti. The final architect was Giovanni Ghini who lived long enough to see the cathedral consecrated.

Floorplan of Sta. Maria del Fiore
'''
Entry 1:
NbO2: simulated powder diffraction line list (Cu Kα, 1.54184 Å), based on DFT lattice parameters and positions (PBE).
No peak broadening, texture or thermal motion is included.

Principal peaks in the range 15 to 90 degrees two-theta, sorted by position:
2θ = 25.17°, I 100
2θ = 35.47°, I 64
2θ = 35.89°, I 18
2θ = 51.35°, I 59
2θ = 51.66°, I 20
2θ = 64.24°, I 18

Structural model:
abc: 5.0043 5.0043 2.9331
angles: 90.00 90.00 90.00
Fractional coordinates of all 6 atoms:
Nb: 0.0000 0.0000 0.0000
Nb: 0.5000 0.5000 0.5000
O: 0.2116 0.2116 0.5000
O: 0.2884 0.7116 0.0000
O: 0.7116 0.2884 0.0000
O: 0.7884 0.7884 0.5000

***

Entry 2:
RbFe2S3: simulated powder diffraction line list (Cu Kα, 1.54184 Å), based on DFT lattice parameters and positions (PBE).
No peak broadening, texture or thermal motion is included.

Principal peaks in the range 15 to 90 degrees two-theta, sorted by position:
2θ = 15.31°, I 39
2θ = 25.06°, I 59
2θ = 30.36°, I 100
2θ = 47.17°, I 26
2θ = 53.59°, I 24
2θ = 54.17°, I 21

Structural model:
abc: 7.3694 7.3694 5.1645
angles: 90.00 90.00 103.46
Fractional coordinates of all 12 atoms:
Rb: 0.1760 0.8240 0.7500
Rb: 0.8240 0.1760 0.2500
Fe: 0.3609 0.3609 0.0000
Fe: 0.3609 0.3609 0.5000
Fe: 0.6391 0.6391 0.0000
Fe: 0.6391 0.6391 0.5000
S: 0.1275 0.3344 0.7500
S: 0.3344 0.1275 0.2500
S: 0.3949 0.6051 0.2500
S: 0.6051 0.3949 0.7500
S: 0.6656 0.8725 0.7500
S: 0.8725 0.6656 0.2500

***

Entry 3:
TiFeSi2: simulated powder diffraction line list (Cu Kα, 1.54184 Å), based on DFT lattice parameters and positions (PBE).
No peak broadening, texture or thermal motion is included.

Principal peaks in the range 15 to 90 degrees two-theta, sorted by position:
2θ = 39.24°, I 43
2θ = 40.65°, I 95
2θ = 42.55°, I 65
2θ = 42.71°, I 100
2θ = 44.94°, I 72
2θ = 48.02°, I 43

Structural model:
abc: 8.5755 9.5304 7.5792
angles: 90.00 90.00 90.00
Fractional coordinates of all 48 atoms:
Ti: 0.1675 0.1797 0.0000
Ti: 0.1739 0.4515 0.2384
Ti: 0.1739 0.4515 0.7616
Ti: 0.3261 0.9515 0.2384
Ti: 0.3261 0.9515 0.7616
Ti: 0.3325 0.6797 0.0000
Ti: 0.6675 0.3203 0.0000
Ti: 0.6739 0.0485 0.2384
Ti: 0.6739 0.0485 0.7616
Ti: 0.8261 0.5485 0.2384
Ti: 0.8261 0.5485 0.7616
Ti: 0.8325 0.8203 0.0000
Fe: 0.0000 0.0000 0.2441
Fe: 0.0000 0.0000 0.7559
Fe: 0.0898 0.7427 0.2487
Fe: 0.0898 0.7427 0.7513
Fe: 0.4102 0.2427 0.2487
Fe: 0.4102 0.2427 0.7513
Fe: 0.5000 0.5000 0.2441
Fe: 0.5000 0.5000 0.7559
Fe: 0.5898 0.7573 0.2487
Fe: 0.5898 0.7573 0.7513
Fe: 0.9102 0.2573 0.2487
Fe: 0.9102 0.2573 0.7513
Si: 0.0386 0.6198 0.0000
Si: 0.0395 0.6220 0.5000
Si: 0.1219 0.9016 0.5000
Si: 0.1258 0.8959 0.0000
Si: 0.1615 0.1813 0.3446
Si: 0.1615 0.1813 0.6554
Si: 0.3385 0.6813 0.3446
Si: 0.3385 0.6813 0.6554
Si: 0.3742 0.3959 0.0000
Si: 0.3781 0.4016 0.5000
Si: 0.4605 0.1220 0.5000
Si: 0.4614 0.1198 0.0000
Si: 0.5386 0.8802 0.0000
Si: 0.5395 0.8780 0.5000
Si: 0.6219 0.5984 0.5000
Si: 0.6258 0.6041 0.0000
Si: 0.6615 0.3187 0.3446
Si: 0.6615 0.3187 0.6554
Si: 0.8385 0.8187 0.3446
'''
**The data records stop here**
The size of the cathedral is impressive, even by today's standards. The interior area measures 8,300 sq metres (89,000 sq feet) and was intended to accommodate over 20,000 worshippers. The building is 169 metres long (526 feet) and central part of its roof is supported by six gigantic stone columns.
Near the Porch of the Canons in the interior are memorials to two of its architects who are buried here — Arnolfo di Cambio who designed it and Filippo Brunelleschi who created the famous dome which is visible all over the city has become a symbol of Florence in the eyes of the world.

Brunellischi's Dome
FILIPPO BRUNELLISCHI'S DOME. The cathedral took over a century to build but still lacked a dome or marble cladding to the stone façade. The Florentines despaired of finding an architect able to complete the enormous edifice with a dome, which had to span 45 metres (138 feet) and would be larger than the dome of Istanbul's Hagia Sofia or that of Rome's Pantheon built by the ancient Romans.
Filippo Brunelleschi had been apprenticed to a goldsmith at a time when there was no such thing as a university degree in architecture. He was angry and disappointed when in 1401 he did not win the competition to design the doors of the Baptistery. An ambitious young man, Brunelleschi (according to the Renaissance art historian Vasari) went to Romes accompanied by young Donatello. Brunelleschi wanted to study the dome of the Pantheon hoping to understand how the Roman builders had constructed such an enormous dome, without scaffolding so he could repeat their feat of engineering in Florence.
Returning to Florence, Brunelleschi, who had basic knowledge of engineering, insisted he had discovered how the Romans had built their dome without the use of expensive internal scaffolding and support system. He proposed to build a dome for the Santa Maria del Foire on the same principle, but refused to reveal how he intended to do it.
Brunelleschi and Ghiberti again became contestants in a competition to build the cathedral's dome. Vasari related how the two rivals were asked how they would build such a large dome. Brunelleschi explained to the interviewing committee that, if he revealed his construction method, Ghiberti would steal his idea.
When the committee ridiculed him, Brunelleschi produced an egg from his pocket and challenged Ghiberti and the committee members to make it stand on end. They all claimed that this was impossible, but Brunelleschi was able to do it after cracking the tip of the egg. The members of the committee protested and claimed they could easily have done the same. Brunelleschi retorted that this was exactly what they would have said if he had revealed his method of building the gigantic dome. He won the competition and the dome he built made him famous.
Brunelleschi built an outer and inner dome of bricks which interlocked by placing them in a herring bone pattern, the same technique employed by the Romans when building the dome of the Pantheon. Brunelleschi used external scaffolding, which was supported by poles, inserted in holes in the completed base of the dome. When the next part of the dome was completed, poles were placed in a higher row of holes, allowing the scaffolding to be raised. This process was repeated until the complete dome had been built. A distinctive lantern-like feature is crowning the dome. The holes for the poles that supported the scaffolding are still visible.
Brunilleschi's dome measures 114 metres (375 ft) high and it was finished on 25 March 1436, on the Feast of the Annunciation and consecrated by the current Pope. Via long flights of stairs, located between the inner and outer dome, it is possible (but very tiring) to climb to the top for a panoramic view of the city.
THE MARBLE FRONTAGE. It took another 400 years after the cathedral was consecrated to raise the money to cover the front in an ornate marble cladding designed by Emilio de Fabris in 1875. This new and intricate façade repeated the colours of the marble cladding on Giotto's elegant bell tower. Pic from Inside Florence??
Work on the carvings and intricate geometric patterning of the marble following the design of de Fabris took skilled craftsmen 12 years to complete and it was finally finished in 1887. Three different marbles were used — , white marble from Carrara, dark green marble from a quarry at Prato and the reddish pink marble from Tuscany's Maremma district. Niches were designed for statues of the Four Apostles, several Florentine bishops and a statue of Pope Eugene IV.
Many people wished to have Michelangelo's David hoisted up the face of the cathedral and placed it in one of the niches, as the David represents Florence as an emblem of liberty against tyrants. Due to the enormous weight of the statue the project was abandoned. Instead Michelangelo's original marble statue was moved to the Accademia Gallery and replaced by an excellent copy outside the Palazzo Vecchio.